Dougie is a young pup in an old dog’s body. If he doesn’t get his way, he goes in a huff and digs up his bed. He also sits and frowns if we stay up later than his bedtime, at which point he’ll try and nudge us upstairs. Then, he’ll follow us into our bedroom and make sure we’re tucked in on our own sides of the bed, before finally retiring to his own!
He goes in a huff
He may have some funny habits, but Dougie is the friendliest dog you’ll ever meet. There’s a stray cat that lives in our area and the two of them have become best friends, which is great as it means we can keep an eye on her and gain her trust.
Dougie can be best described as a good friend, a loyal pup and a massive bed head!
We have owned two Golden Retrievers over the last 30 years, but sadly our last beautiful boy died in November. For the first time in all these years, we were faced with a home with no dog – and the loss hit us hard.
Slowly the conversations began: should we think about getting a puppy? We agreed that it wouldn’t be a good idea and yet we started looking at puppies online. Before we knew it, we were suddenly puppy owners again. You think you could never love the same way again, but the first time we met Dudley, it was pure love.
29 February 2020 was D-day – Dudley day. And home he came. He was a beautiful, brave, bundle of fluff. For the next few weeks, he started to meet the extended family – including Rory, our beautiful grandchild, and Cooper his new doggy bestie. We had just established a routine when things changed.
We were isolated but not alone
Coronavirus and lockdown became the new reality. There we were isolated. No more family, cuddles with the children, eating together, laughing together, being together. We were isolated but not alone.
What comes next are materials data, not part of the entry >
+++
VASP calculation (PBEsol) on CrBiTe2I after structural relaxation.

Cell: 5.2579 5.2579 5.2011 Å, 90.00 90.00 90.00°
Sites, in units of the cell vectors:
Cr (0.0000, 0.0000, 0.0000)
Bi (0.5000, 0.5000, 0.5000)
Te (0.0000, 0.5000, 0.0000)
Te (0.5000, 0.0000, 0.0000)
I (0.0000, 0.0000, 0.5000)

Results
- total magnetization (μB/atom) = 0.697
+++
Amidst the surreal, there was Dudley. Beautiful, innocent, wide-eyed Dudley. Dudley who is growing bigger and bolder every day and who believes he rules the roost. In truth, he probably does!
We chose Dudley because there was a connection, we couldn’t say what at the time, but now we think we know. It feels like he was coming to us for reason. None of us knew what was to come and somehow, he came to fill the void. This year will be defined in history by the coronavirus, but for us, it will be defined by the year Dudley came to save us.
My husky Ozzy really is my soul dog – that dog you connect with on a different level. I feel he and I were meant to be together. I rescued him when he was three in 2010. He's seen me the through the loss of four babies, the loss of my dad and several rather awful relationships.
I feel he and I were meant to be together
His love is unwavering. I've lost count of the amount of times he's pressed his face into mine when I've cried into his fur. He's now almost 15 and has lots of lumps, arthritis and is deaf and going blind, but he still thinks he's a puppy and is absolutely giddy telling me he needs his tea or frolicking on the beach. After a car accident in 2012 and working long hours away from him and my other dogs, he inspired me to start my own dog walking business which is now into its 10th year of business.
Oz has been into schools with me to teach young ones about how to approach dogs and has also been to lots of events as he inspired me to be a part of several husky rescues and to take on foster dogs before setting up my own business. When Oz goes it is going to leave a huge hole in my life and heart, but I'm so thankful that the best years of his life I've got to share.
Morgan is from the local rescue centre, but I’m not sure if I rescued him or he rescued me!
With just one look, we made an instant connection at the centre, which was only one month after I was diagnosed with rheumatoid arthritis. Since then, he’s faithfully been by my side.
Each morning, he nudges me with his nose when it’s time for me to get up, waiting patiently while I struggle to get moving due to stiffness and pain. He carries my socks downstairs from the bedroom and helps me load the washing machine, keeping watch as I load it and spinning round once the task is complete.
Thank you for being my special friend
He loves the pop-up toaster and yelps with excitement to let me know when the toast is ready, but his favourite part of the day is his walk, which he encourages me to do regularly. I feel so much better after seeing him run so freely with his friend Jessie. He brings me great joy.
Finally, after his tea and when it’s time for bed, he pushes the recliner chair footrest in for me and off we go to bed. He curls up next to me making me feel contented and safe.
Thank you, Morgan, for being you and for being my special friend.
Mickey is my sons’ best friend. As teenage boys go, that dog certainly gets his fair share of cuddles and kisses off them!
If any of us feel down, sick or just want to have a cuddle, then Mickey is there. Mickey is the best companion to all of us and he is not happy unless he is sat with – or on top of – someone.
He just loves to share his love!
He has a soft caring nature and always wants a kiss. I'll admit his nickname is ‘Lickey Mickey’ because we get non-stop kisses from him. He just loves to share his love!
Let's just say, Mickey also likes the finest thing in life as you can see in his picture!
My husband and I used to manage a private residence. It was a Tudor farmhouse set in almost 30 acres. We started working there when our dog Rocky was just 12 weeks old. At first, he would chase birds, squirrels and bunnies around the lawns, but on one particular occasion he actually followed a rabbit all the way into its warren. There I was, out in the pouring rain searching all over for him, only to see him clamber out of the rabbit hole like something out of Alice in Wonderland!
Rocky lives for adventure. He used to make it his mission to save the cockerels from foxes, who he would chase away from his feathery friends. Once, he even managed to pry a bird straight out of a fox’s mouth.
Rocky lives for adventure
Of course, Rocky is also extremely protective of his human companions. Last year, we were awoken really early one cold February morning by the sound of Rocky barking. We woke up and told him to stop, but within a moment he was at it again. Something didn’t feel right as this really wasn’t like him, so my husband got up and looked through the curtains. He realised the barn door was ajar, so I grabbed the phone and rang the police – it turns out we had intruders. Without Rocky to wake us up, who knows what could have happened that night.
In March we were made redundant and had to move back to our property in Wales. Losing my job and my ties to the cottage has been really hard for me, but thankfully, I have Rocky to keep me company and take me on long, relaxing walks along the beachfront.